_Listing_
=====
Diffraction record for Li2Si3NiO8. The powder diffractogram is theoretical, not measured: it uses a cell relaxed with PBE+U and CuKα.
Peak positions follow from Bragg's law for the DFT cell and can differ from measured ones.

Crystal structure
a = 4.9770 Å, b = 9.9483 Å, c = 6.9427 Å
α = 90.00°, β = 90.20°, γ = 90.00°
Fractional coordinates of all 28 atoms:
1 Li 0.0553 0.0000 0.2473
2 Li 0.4094 0.7116 0.2520
3 Li 0.5906 0.2116 0.7480
4 Li 0.9447 0.5000 0.7527
5 Si 0.0294 0.2764 0.0308
6 Si 0.4119 0.4580 0.4721
7 Si 0.4610 0.6960 0.7237
8 Si 0.5390 0.1960 0.2763
9 Si 0.5881 0.9580 0.5279
10 Si 0.9706 0.7764 0.9692
11 Ni 0.0751 0.0333 0.7447
12 Ni 0.9249 0.5333 0.2553
13 O 0.0300 0.9345 0.9835
14 O 0.0328 0.7128 0.1778
15 O 0.0910 0.4662 0.4985
16 O 0.1481 0.6977 0.7960
17 O 0.3452 0.2418 0.0983
18 O 0.4552 0.0388 0.3327
19 O 0.4699 0.0330 0.7143
20 O 0.4894 0.7947 0.5294
21 O 0.5106 0.2947 0.4706
22 O 0.5301 0.5330 0.2857
23 O 0.5448 0.5388 0.6673
24 O 0.6548 0.7418 0.9017
25 O 0.8519 0.1977 0.2040
26 O 0.9090 0.9662 0.5015
27 O 0.9672 0.2128 0.8222
28 O 0.9700 0.4345 0.0165

Most intense lines, 10° ≤ 2θ ≤ 90°, in order of rising 2θ:
| Position (°2θ) | Rel. int. | index |
| --- | --- | --- |
| 15.56 | 64 | 0 1 1 |
| 21.99 | 100 | 1 0 1 |
| 23.73 | 60 | 1 1 -1 |
| 29.86 | 27 | 0 3 1 |
| 31.43 | 40 | 0 2 2 |
| 36.10 | 52 | 2 0 0 |
=====
_What to do_
Your job: repeat the lines above from the one with "0.4699 0.0330" to the one with "0.4706" unchanged.
_Written answer_
19 O 0.4699 0.0330 0.7143
20 O 0.4894 0.7947 0.5294
21 O 0.5106 0.2947 0.4706